The article discusses the importance of rice in our diet as a staple food that is an essential part of our diet, and should be by no means eliminated from our diet. It discusses how arsenic ends up in our food, and how we can avoid it.
### Misplaced records of crystals
'''
# 1
A relaxed ZrSnTe crystal, computed with r²SCAN.

```
ZrSnTe
1.0
-3.5543 1.4428 1.4392
1.3719 -0.4455 3.8348
3.2314 8.1674 -0.2071
Te Sn Zr
2 2 2
Direct
0.2500 0.2500 0.6194
0.7500 0.7500 0.3806
0.7500 0.2500 0.0000
0.2500 0.7500 0.0000
0.2500 0.2500 0.2636
0.7500 0.7500 0.7364
```

## Properties
- E_form: -786 meV per atom
- Theoretical density: 7.6 g/cm3
- Crystal system: tetragonal

***

# 2
A relaxed CsLiMoO4 crystal, computed with r²SCAN.

```
CsLiMoO4
1.0
-3.0982 -2.2515 -4.5327
-4.6917 2.9384 -2.1371
0.2840 2.5557 -5.3480
Mo O Li Cs
1 4 1 1
Direct
0.7500 0.7500 0.7500
0.6288 0.6288 0.1136
0.6288 0.1136 0.6288
0.6288 0.6288 0.6288
0.1136 0.6288 0.6288
0.5000 0.5000 0.5000
0.2500 0.2500 0.2500
```

## Properties
- E_form: -2352 meV per atom
- Theoretical density: 3.4 g/cm3
- Crystal system: cubic

***

# 3
A relaxed As2O3 crystal, computed with r²SCAN.

```
As2O3
1.0
0.0000 4.5915 0.0000
8.0482 0.0000 7.4360
7.6625 0.0000 -10.9769
As O
16 24
Direct
0.6687 0.6576 0.4616
0.1687 0.3424 0.0384
0.6687 0.0913 0.7191
0.3313 0.3424 0.5384
0.6680 0.1557 0.9564
0.3320 0.8443 0.0436
0.8313 0.0913 0.2191
0.7682 0.5963 0.7246
0.1687 0.9087 0.7809
0.2682 0.4037 0.7754
0.8313 0.6576 0.9616
0.2318 0.4037 0.2754
0.7318 0.5963 0.2246
0.8320 0.1557 0.4564
0.3313 0.9087 0.2809
0.1680 0.8443 0.5436
0.8477 0.2011 0.3313
0.0453 0.6966 0.4825
0.5453 0.3034 0.0175
0.8987 0.4871 0.2979
0.6980 0.9647 0.2818
0.1362 0.3009 0.1646
0.1523 0.7989 0.6687
0.4547 0.6966 0.9825
0.6362 0.6991 0.3354
0.1013 0.5129 0.7021
0.8638 0.6991 0.8354
0.9547 0.3034 0.5175
0.3020 0.0353 0.7182
0.1980 0.0353 0.2182
0.0448 0.1931 0.9801
0.4552 0.1931 0.4801
0.5448 0.8069 0.5199
0.3638 0.3009 0.6646
0.6013 0.4871 0.7979
0.3477 0.7989 0.1687
0.8020 0.9647 0.7818
0.9552 0.8069 0.0199
0.6523 0.2011 0.8313
0.3987 0.5129 0.2021
```

## Properties
- E_form: -1279 meV per atom
- Theoretical density: 3.9 g/cm3
- Crystal system: monoclinic

***

# 4
A relaxed LaCu2O4 crystal, computed with r²SCAN.

```
LaCu2O4
1.0
5.2182 0.0481 -2.6002
-1.5091 5.0507 -2.6704
-0.0147 -0.0252 6.3776
O Cu La
8 4 2
Direct
0.4635 0.8528 0.6551
0.8505 0.1758 0.1485
0.1495 0.8242 0.8515
0.2980 0.4727 0.1485
0.1914 0.3023 0.6550
0.8086 0.6977 0.3450
0.5365 0.1472 0.3449
0.7020 0.5273 0.8515
0.5000 0.5000 0.5000
0.0000 0.5000 0.5000
0.5000 0.5000 0.0000
0.5000 0.0000 0.0000
0.1254 0.8754 0.2507
0.8746 0.1246 0.7493
```

## Properties
- E_form: -1885 meV per atom
- Theoretical density: 6.5 g/cm3
- Crystal system: monoclinic

***

# 5
A relaxed LuMn2Si2 crystal, computed with r²SCAN.

```
LuMn2Si2
1.0
-1.9131 1.9131 5.1889
1.9131 -1.9131 5.1889
1.9131 1.9131 -5.1889
Mn Si Lu
2 2 1
Direct
0.7500 0.2500 0.5000
0.2500 0.7500 0.5000
0.6156 0.6156 0.0000
0.3844 0.3844 0.0000
0.0000 0.0000 0.0000
```

## Properties
- E_form: -663 meV per atom
- Theoretical density: 7.5 g/cm3
- Crystal system: tetragonal

***

# 6
A relaxed KMnF3 crystal, computed with r²SCAN.

```
KMnF3
1.0
-5.2399 -1.7373 2.0129
1.9193 -5.5498 0.2063
'''
### Back to the article
Rice as an Essential Part of our Diet:
Rice is one of the most popular, staple foods all around the world. No matter which corner of the world we travel to, we will always find that rice makes up a large part of the diets of the locals. Be it some eastern cuisine, European, American, Latin or Asian, we will always see rice being a huge part of the most traditional dishes. It can be really filling, and the mild taste can make it the perfect base to make the toppings that we add to it shine. In addition to it, the soft texture of rice means that it can be eaten by very young children and the elderly alike, who may have problems with chewing harder, more dense foods. There are a large number of varieties when it comes to rice as well, such as brown rice, the conventional white rice, wild rice, and jasmine rice to name a few. Depending on our preference and what we are cooking, we can choose our preferred variety of rice.
Drawbacks of buying Conventional Rice Brands:
Materials data from another source follow:
+++
[1]
DFT (meta-GGA r2SCAN) results for an optimized crystal structure of Lu4Hf3O12.

Lattice parameters (Å, degrees): 6.2220 6.2867 12.4805 99.33 99.30 99.39
Last column: nearest neighbours and their distance in Å.
Sites, in units of the cell vectors:
Lu  0.1103  0.1353  0.4034  6 O 2.13-2.32
Lu  0.1876  0.3907  0.6822  6 O 2.16-2.33
Lu  0.2005  0.3902  0.1814  6 O 2.12-2.33
Lu  0.3588  0.6895  0.9470  6 O 2.15-2.32
Lu  0.6412  0.3105  0.0530  6 O 2.15-2.32
Lu  0.7995  0.6098  0.8186  6 O 2.12-2.33
Lu  0.8124  0.6093  0.3178  6 O 2.16-2.33
Lu  0.8897  0.8647  0.5966  6 O 2.13-2.32
Hf  0.1081  0.1427  0.9060  6 O 2.05-2.18
Hf  0.3547  0.6759  0.4465  6 O 2.04-2.17
Hf  0.4930  0.9941  0.7482  6 O 2.05-2.10
Hf  0.5070  0.0059  0.2518  6 O 2.05-2.10
Hf  0.6453  0.3241  0.5535  6 O 2.04-2.17
Hf  0.8919  0.8573  0.0940  6 O 2.05-2.18
O  0.0707  0.4167  0.8417  1 Hf 2.05, 2 Lu 2.22-2.24
O  0.0705  0.8305  0.9626  2 Hf 2.12-2.18, 2 Lu 2.15-2.33
O  0.0878  0.8197  0.4622  1 Hf 2.04, 2 Lu 2.22-2.25
O  0.0904  0.4302  0.3420  3 Lu 2.13-2.22, 1 Hf 2.15
O  0.1777  0.0569  0.7142  1 Hf 2.05, 2 Lu 2.17-2.19
O  0.1828  0.0402  0.2032  2 Hf 2.07-2.11, 1 Lu 2.25
O  0.3148  0.4089  0.0315  3 Lu 2.12-2.21, 1 Hf 2.17
O  0.3262  0.4251  0.5361  2 Hf 2.08-2.17, 2 Lu 2.16-2.32
O  0.4210  0.6930  0.2896  2 Hf 2.08-2.10, 1 Lu 2.25
O  0.4225  0.6805  0.7784  1 Hf 2.06, 2 Lu 2.18-2.20
O  0.4291  0.0822  0.9070  2 Hf 2.09, 1 Lu 2.21
O  0.4633  0.1057  0.4114  2 Hf 2.06-2.09, 1 Lu 2.22
O  0.5367  0.8943  0.5886  2 Hf 2.06-2.09, 1 Lu 2.22
O  0.5709  0.9178  0.0930  2 Hf 2.09, 1 Lu 2.21
O  0.5775  0.3195  0.2216  1 Hf 2.06, 2 Lu 2.18-2.20
O  0.5790  0.3070  0.7104  2 Hf 2.08-2.10, 1 Lu 2.25
O  0.6738  0.5749  0.4639  2 Hf 2.08-2.17, 2 Lu 2.16-2.32
O  0.6852  0.5911  0.9685  3 Lu 2.12-2.21, 1 Hf 2.17
O  0.8172  0.9598  0.7968  2 Hf 2.07-2.11, 1 Lu 2.25
O  0.8223  0.9431  0.2858  1 Hf 2.05, 2 Lu 2.17-2.19
O  0.9096  0.5698  0.6580  3 Lu 2.13-2.22, 1 Hf 2.15
O  0.9122  0.1803  0.5378  1 Hf 2.04, 2 Lu 2.22-2.25
O  0.9295  0.1695  0.0374  2 Hf 2.12-2.18, 2 Lu 2.15-2.33
O  0.9293  0.5833  0.1583  1 Hf 2.05, 2 Lu 2.22-2.24

Properties
The total energy comes out at -22.9266 eV/atom. The value obtained for the formation energy is -4.008 eV per atom.

=====

[2]
DFT (meta-GGA r2SCAN) results for an optimized crystal structure of LuHfRh2.

Lattice parameters (Å, degrees): 4.6448 4.6448 4.6448 60.00 60.00 60.00
Last column: nearest neighbours and their distance in Å.
Sites, in units of the cell vectors:
Lu  0.0000  0.0000  0.0000  8 Rh 2.84
Hf  0.5000  0.5000  0.5000  8 Rh 2.84
Rh  0.2500  0.2500  0.2500  4 Hf 2.84, 4 Lu 2.84
Rh  0.7500  0.7500  0.7500  4 Hf 2.84, 4 Lu 2.84

Properties
The total energy comes out at -33.8630 eV/atom. The value obtained for the formation energy is -0.987 eV per atom.

=====

[3]
DFT (meta-GGA r2SCAN) results for an optimized crystal structure of LuHfRu2.

Lattice parameters (Å, degrees): 4.6074 4.6074 4.6074 60.00 60.00 60.00
+++
When we think of the drawbacks of eating rice, we usually think of the drawbacks of white rice. White rice is rice which is the most processed, and has the hull, bran and core removed. This can mean that the rice has lost most of the nutrients and minerals it had to offer. This is why many people often prefer brown rice as compared to white rice, as brown rice only has the hull removed. White rice is generally considered to be a source of empty carbs and brown rice and other relatively unprocessed varieties have started to dominate. However, while we worry about carbs and nutritional value, we may end up overlooking the chemical; content of traditionally grown rice. What we aren’t aware of is the arsenic content of conventionally grown rice, which may be shockingly high. This arsenic can, over time, lead to great health complications as arsenic can be lethal even in small amounts.
How Arsenic Ends up in Rice, and How it can be Avoided:
== Materials data from another source follow ==
1.
Below is Cr7FeO12 after structural relaxation, with properties calculated at the GGA+U level.

Properties
- energy above the lowest structure with this stoichiometry (meV per atom) = 87
- formation energy from the elements (meV/atom) = -1817
- energy with MP2020 corrections (eV for the cell shown) = -687.0

Unit cell a=9.9919 b=10.0614 c=10.6247 alpha=86.03 beta=82.44 gamma=88.63
Last column: nearest neighbours and their distance in Å.
Space group P1 (No. 1)
Inequivalent atoms, fractional coordinates:
Cr 0.0000 0.0000 0.0000 (multiplicity 1)  4 O 1.87-2.10
Cr 0.0027 0.2411 0.2518 (multiplicity 1)  6 O 1.93-2.05
Cr 0.0572 0.3687 0.5544 (multiplicity 1)  4 O 1.84-2.04
Cr 0.1493 0.1491 0.7138 (multiplicity 1)  1 O 1.78
Cr 0.2094 0.7275 0.4012 (multiplicity 1)  5 O 1.89-2.10
Cr 0.2570 0.7170 0.8601 (multiplicity 1)  4 O 1.76-1.92
Cr 0.2744 0.7882 0.1086 (multiplicity 1)  3 O 1.91-1.94
Cr 0.2837 0.1706 0.0419 (multiplicity 1)  6 O 2.00-2.10
Cr 0.2972 0.3649 0.2114 (multiplicity 1)  3 O 1.89-2.08
Cr 0.2983 0.3698 0.8176 (multiplicity 1)  4 O 1.91-2.06
Cr 0.3090 0.1120 0.3761 (multiplicity 1)  4 O 1.89-2.05
Cr 0.3779 0.9835 0.8677 (multiplicity 1)  5 O 1.97-2.13
Cr 0.4100 0.2821 0.5630 (multiplicity 1)  4 O 1.94-2.12
Cr 0.4274 0.5486 0.3198 (multiplicity 1)  4 O 1.91-2.02
Cr 0.4825 0.8359 0.2755 (multiplicity 1)  5 O 1.93-2.11
Cr 0.5453 0.2518 0.0551 (multiplicity 1)  4 O 1.91-2.08
Cr 0.5474 0.5152 0.7831 (multiplicity 1)  4 O 1.92-2.10
Cr 0.5639 0.7088 0.9977 (multiplicity 1)  5 O 1.92-2.04
Cr 0.5934 0.9980 0.4875 (multiplicity 1)  4 O 1.87-1.97
Cr 0.6538 0.0135 0.9390 (multiplicity 1)  4 O 1.80-1.93
Cr 0.6964 0.8227 0.6866 (multiplicity 1)  5 O 1.95-2.14
Cr 0.7187 0.5386 0.4757 (multiplicity 1)  2 O 1.76-1.89
Cr 0.7487 0.5080 0.1913 (multiplicity 1)  5 O 1.92-2.14
Cr 0.7700 0.8307 0.1169 (multiplicity 1)  5 O 1.94-2.01
Cr 0.7946 0.1892 0.5263 (multiplicity 1)  3 O 1.77-1.97
Cr 0.8451 0.7970 0.3612 (multiplicity 1)  5 O 1.93-2.10
Cr 0.8758 0.5314 0.7879 (multiplicity 1)  4 O 1.75-1.92
Cr 0.9769 0.7177 0.5853 (multiplicity 1)  5 O 1.90-2.09
Fe 0.0336 0.5226 0.2510 (multiplicity 1)  4 O 1.90-1.99
Fe 0.0798 0.9563 0.2589 (multiplicity 1)  3 O 1.92-2.14
Fe 0.3587 0.7814 0.6063 (multiplicity 1)  3 O 1.92-2.09
Fe 0.8604 0.3014 0.0119 (multiplicity 1)  5 O 2.00-2.22
O 0.0245 0.8034 0.4115 (multiplicity 1)  3 Cr 1.94-1.99
O 0.0257 0.0742 0.8320 (multiplicity 1)  2 Cr 1.78-1.87
O 0.0552 0.3770 0.3715 (multiplicity 1)  1 Fe 1.91, 2 Cr 1.94-2.05
O 0.1315 0.1122 0.3337 (multiplicity 1)  2 Cr 1.89-2.04, 1 Fe 1.92
O 0.1573 0.3042 0.1281 (multiplicity 1)  3 Cr 1.89-2.01
O 0.1569 0.7007 0.0100 (multiplicity 1)  2 Cr 1.76-1.94
O 0.1756 0.7251 0.5804 (multiplicity 1)  2 Cr 1.89-1.98, 1 Fe 1.99
O 0.1995 0.9819 0.0408 (multiplicity 1)  3 Cr 2.10-2.18
O 0.2107 0.3414 0.6630 (multiplicity 1)  4 Cr 2.00-2.22
O 0.2185 0.5838 0.2655 (multiplicity 1)  1 Fe 1.99, 1 Cr 2.10
O 0.2687 0.8768 0.7654 (multiplicity 1)  2 Cr 1.83-2.01
It may seem strange to think that our food is laced with such a lethal chemical as arsenic, however, arsenic is found naturally in our soil and is absorbed by the rice as it grows. So, all varieties of rice have some amount of arsenic in them. In fact, varieties such as brown rice may have an even higher arsenic content as compared to white rice because it grows in a lot of water and does not have the outer coating removed. However, what makes matters worse is the fact that when rice is grown conventionally, it is soaked in all sorts of chemicals such as pesticides, fertilizers, and growth inducing hormones that highly increase the arsenic content in rice. Avoiding this can be simple, as all we need to do is invest in low arsenic rice. This rice is organic rice which means it is grown just the way that nature intended it to be, and is free of any extra chemicals. In this manner, we can make sure that the rice we eat is as healthy as it can be no matter if it is brown rice or white.